Why volunteer as a young adult? James shares some thoughts about what you might gain from volunteering, and what skills you might you be able to take from ATE specifically to help you make your decision:
I don’t really like being the bearers of bad news, in fact I think it’s pretty miserable, but it’s difficult to avoid the current economic climate, especially when we’re talking about young adults. The majority of our staff sit between the 17-25 age bracket – by no means the only victims of ongoing financial difficulties but definitely some of the hardest hit.
This probably all sounds a bit serious and that’s because it is. Jobs are difficult to get at the best of times but in recent years the levels of competition for every single opportunity has risen.
Could volunteering be the answer?
• Misplaced records of crystals:
/*
Entry 1:
VASP calculation (GGA-PBE) on crystalline Dy3Zn8Ag at its relaxed geometry.

Cell and atoms, written as POSCAR:
```
Dy3Zn8Ag
1.0
2.690 1.553 8.818
-2.690 1.553 8.818
0.000 -3.106 8.818
Dy Zn Ag
3 8 1
direct
0.000 0.000 0.000
0.126 0.126 0.126
0.510 0.510 0.510
0.065 0.065 0.567
0.065 0.567 0.065
0.067 0.565 0.565
0.315 0.315 0.315
0.565 0.067 0.565
0.565 0.565 0.067
0.567 0.065 0.065
0.816 0.816 0.816
0.631 0.631 0.631
```

Results
**DFT total energy**: -2.528 eV per atom
**Energy of formation from the pure elements**: -0.291 eV per atom
**Mass density**: 8406 kg/m3
**Space group**: No. 160

---

Entry 2:
VASP calculation (GGA-PBE) on crystalline Dy5Zn2Ag at its relaxed geometry.

Cell and atoms, written as POSCAR:
```
Dy5Zn2Ag
1.0
-3.669 3.669 7.679
3.669 -3.669 7.679
3.669 3.669 -7.679
Dy Zn Ag
10 4 2
direct
0.000 0.000 0.000
0.017 0.517 0.835
0.183 0.017 0.500
0.317 0.817 0.835
0.483 0.317 0.500
0.500 0.500 0.000
0.517 0.683 0.500
0.683 0.183 0.165
0.817 0.983 0.500
0.983 0.483 0.165
0.122 0.378 0.500
0.378 0.878 0.256
0.622 0.122 0.744
0.878 0.622 0.500
0.250 0.250 0.000
0.750 0.750 0.000
```

Results
**DFT total energy**: -3.765 eV per atom
**Energy of formation from the pure elements**: -0.213 eV per atom
**Mass density**: 8442 kg/m3
**Space group**: No. 140

---

Entry 3:
VASP calculation (GGA-PBE) on crystalline DyZn2Ag at its relaxed geometry.

Cell and atoms, written as POSCAR:
```
DyZn2Ag
1.0
2.282 -5.009 0.000
2.282 5.009 0.000
0.000 0.000 6.789
Dy Zn Ag
2 4 2
direct
0.091 0.909 0.750
0.909 0.091 0.250
0.379 0.621 0.560
0.379 0.621 0.940
0.621 0.379 0.060
0.621 0.379 0.440
0.205 0.795 0.250
0.795 0.205 0.750
```

Results
**DFT total energy**: -2.797 eV per atom
**Energy of formation from the pure elements**: -0.297 eV per atom
**Mass density**: 8585 kg/m3
**Space group**: No. 63

---

Entry 4:
VASP calculation (GGA-PBE) on crystalline Dy3Zn2Ag at its relaxed geometry.

Cell and atoms, written as POSCAR:
```
Dy3Zn2Ag
1.0
3.587 0.000 0.000
0.000 3.587 0.000
0.000 0.000 10.754
Dy Zn Ag
3 2 1
direct
0.000 0.000 0.000
0.000 0.000 0.326
0.000 0.000 0.674
0.500 0.500 0.161
0.500 0.500 0.839
0.500 0.500 0.500
```

Results
**DFT total energy**: -3.543 eV per atom
**Energy of formation from the pure elements**: -0.342 eV per atom
**Mass density**: 8714 kg/m3
**Space group**: No. 123

* * * * *

A relaxed AgWN2F crystal. Source: the Alexandria database, functional PBE with a Hubbard U.

The structure belongs to space group P4/mmm (No. 123); the cell edges are 4.120, 4.120 and 3.993 Å and the angles 90.00°, 90.00° and 90.00°. The distinct sites, in fractional coordinates, are Ag at (0.000, 0.000, 0.000), W at (0.500, 0.500, 0.500), N at (0.000, 0.500, 0.000) and F at (0.000, 0.000, 0.500).

Its energy is -4.29 eV/atom. The density of states at the Fermi level is 2.601 states/eV per cell. The magnetic moment comes out at 2.333 μB/f.u. The energy above the lowest structure with this stoichiometry comes out at 7.38 eV/f.u.

* * * * *

{
*/
• Back to the article:
You won’t be surprised to hear that from a financial point of view the answer is obviously no. Whilst volunteering can provide you with a lot of things (more on those later), financial remuneration is not one of them. Every organisation that asks for volunteers is different but we reckon the vast majority of them would love to pay their volunteers if they could!
## What comes next are crystal structures, not part of the article
-- begin --
# NdAlGaPt3 (GGA-PBE, relaxed)
# * ΔE_f: -0.810 eV per atom
# * N(E_F): 2.9 states/eV/cell
# * energy: -5.7529 eV/atom
# * SG: Cmcm
data_NdAlGaPt3
_cell_length_a 7.0519
_cell_length_b 7.0519
_cell_length_c 5.6402
_cell_angle_alpha 90.00
_cell_angle_beta 90.00
_cell_angle_gamma 122.70
_symmetry_space_group_name_H-M 'P 1'
_symmetry_Int_Tables_number 1
_symmetry_space_group_name_Hall 'P 1'
loop_
_atom_site_label
_atom_site_fract_x
_atom_site_fract_y
_atom_site_fract_z
_atom_site_occupancy
Nd1 0.2081 0.7919 0.7500 1
Nd2 0.7919 0.2081 0.2500 1
Al1 0.4629 0.5371 0.7500 1
Al2 0.5371 0.4629 0.2500 1
Ga1 0.1317 0.8683 0.2500 1
Ga2 0.8683 0.1317 0.7500 1
Pt1 0.2080 0.2080 0.0000 1
Pt2 0.2080 0.2080 0.5000 1
Pt3 0.3302 0.6698 0.2500 1
Pt4 0.6698 0.3302 0.7500 1
Pt5 0.7920 0.7920 0.0000 1
Pt6 0.7920 0.7920 0.5000 1

=====

1.
The following is a PBE calculation of a relaxed Cs2U2CoS6 crystal, from the Alexandria database.

## Properties
Spin magnetization (μB/cell): 5.2
Uncorrected formation energy (eV/f.u.): -12.25
DFT total energy (eV per formula unit): -68.40
DOS(E_F) (states/eV per atom): 1.92

a = 6.668 Å, b = 6.668 Å, c = 8.562 Å
α = 97.39°, β = 97.39°, γ = 119.77°
Sites, in units of the cell vectors:
S1 0.618 0.942 0.327
S2 0.942 0.618 0.327
S3 0.736 0.736 0.671
S4 0.264 0.264 0.329
S5 0.058 0.382 0.673
S6 0.382 0.058 0.673
Co1 0.000 0.000 0.500
Cs1 0.166 0.834 0.000
Cs2 0.834 0.166 0.000
U1 0.334 0.666 0.500
U2 0.666 0.334 0.500

=====

2.
The following is a PBE calculation of a relaxed CsUCoS3 crystal, from the Alexandria database.

## Properties
Spin magnetization (μB/cell): 5.6
Uncorrected formation energy (eV/f.u.): -6.79
DFT total energy (eV per formula unit): -38.41
DOS(E_F) (states/eV per atom): 1.07

a = 3.864 Å, b = 9.481 Å, c = 9.565 Å
α = 114.27°, β = 90.00°, γ = 90.00°
Sites, in units of the cell vectors:
Cs1 0.750 0.788 0.750
Cs2 0.250 0.212 0.250
U1 0.250 0.681 0.161
U2 0.750 0.319 0.839
S1 0.750 0.870 0.152
S2 0.750 0.473 0.152
S3 0.250 0.826 0.462
S4 0.250 0.527 0.848
S5 0.750 0.174 0.538
S6 0.250 0.130 0.848
Co1 0.250 0.081 0.593
Co2 0.750 0.919 0.407

=====

3.
The following is a PBE calculation of a relaxed Cs2UCoS5 crystal, from the Alexandria database.

## Properties
Spin magnetization (μB/cell): 2.0
Uncorrected formation energy (eV/f.u.): -9.01
DFT total energy (eV per formula unit): -49.75
DOS(E_F) (states/eV per atom): 0.52

a = 3.993 Å, b = 10.343 Å, c = 14.552 Å
α = 90.00°, β = 90.00°, γ = 101.13°
Sites, in units of the cell vectors:
S1 0.929 0.858 0.484
S2 0.682 0.364 0.512
S3 0.309 0.619 0.638
S4 0.695 0.390 0.900
S5 0.518 0.036 0.819
S6 0.305 0.610 0.400
S7 0.691 0.381 0.138
S8 0.071 0.142 0.984
S9 0.482 0.964 0.319
S10 0.318 0.636 0.012
Co1 0.412 0.823 0.424
Co2 0.588 0.177 0.924
U1 0.198 0.395 0.020
U2 0.802 0.605 0.520
Cs1 0.130 0.260 0.696
Cs2 0.870 0.740 0.196
Cs3 0.123 0.245 0.331
Cs4 0.877 0.755 0.831

=====

4.
The following is a PBE calculation of a relaxed Cs2UCo2S4 crystal, from the Alexandria database.
-- stop --
## Back to the article
However, what volunteering can definitely offer you is a chance to experience things you might not otherwise have the opportunity to take part in through employment. It also lets you be involved with something that you’re genuinely passionate about (at least that’s the idea).
You might be looking to gain experience in a certain field or investigate something as part of a career decision-making process. That’s sort of a long way of saying you might just want to try something out. You might want to use some of your spare time ‘productively’, you might even just want to get out of the house for a bit.
Confidence, responsibility, time-keeping (ideally), experience of working with/understanding/caring for children, team-work, ability to deal with sustained pressure, the chance to try out new ideas, the chance to add to an organisation that is always growing, tips from professionals, tips from enthusiastic non-professionals, enough material to turn you into one incredible babysitter… you get the picture.
The other people that really care about our Monitor volunteers are the parents of the children. We spoke to one parent about how using volunteers as opposed to paid staff makes her feel and this is what she had to say;
“You have to be a bit mad to volunteer to spend all that time with children and not get paid. And that’s a good thing. Usually only relatives do that. Maybe that’s why the monitors seem more like older cousins. I have huge respect for volunteers both on Superweeks and behind the scenes. I’d much rather send my children on a holiday where the staff are volunteers and the organisation is an Educational Trust because I know that the volunteers believe in what Superweeks are all about, understand the benefits for them as well as the children which can’t be measured in financial terms, and are really keen to be there, and because being a bit mad is good.” – Josephine Henderson, Superweek mum
If you’re unsure about training, or about volunteering in general then all I can do is urge you to go for it.
You can read more about it here and get in touch with the office should you have any questions.